Material >
-- begin --
# 1
A relaxed structure of LaGeOs, computed with PBE-GGA.

```
data_LaGeOs
_cell_length_a 4.467
_cell_length_b 4.499
_cell_length_c 6.864
_cell_angle_alpha 90.00
_cell_angle_beta 90.00
_cell_angle_gamma 90.00
_space_group_name_H-M_alt 'P m c 21'
_space_group_IT_number 26
_space_group_name_Hall 'P 2c -2'
loop_
_atom_site_label
_atom_site_type_symbol
_atom_site_fract_x
_atom_site_fract_y
_atom_site_fract_z
La1 La 0.000 0.201 0.000
Ge1 Ge 0.500 0.323 0.649
Os1 Os 0.500 0.174 0.302
```

Results
- DFT formation energy: -1.06 eV per formula unit
- Volume: 23.00 A^3/atom
- Total DFT energy (no corrections): -0.2674 hartree per atom

# 2
A relaxed structure of Sc2TcIr, computed with PBE-GGA.

```
data_Sc2TcIr
_cell_length_a 3.1071
_cell_length_b 3.1071
_cell_length_c 24.9100
_cell_angle_alpha 90.00
_cell_angle_beta 90.00
_cell_angle_gamma 120.00
_space_group_name_H-M_alt 'R -3 m'
_space_group_IT_number 166
_space_group_name_Hall '-R 3 2"'
loop_
_atom_site_label
_atom_site_type_symbol
_atom_site_fract_x
_atom_site_fract_y
_atom_site_fract_z
Sc1 Sc 0.0000 0.0000 0.2481
Tc1 Tc 0.0000 0.0000 0.5000
Ir1 Ir 0.0000 0.0000 0.0000
```

Results
- DFT formation energy: -0.89 eV per formula unit
- Volume: 17.36 A^3/atom
- Total DFT energy (no corrections): -0.3011 hartree per atom

# 3
A relaxed structure of CdGe2CI, computed with PBE-GGA.

```
data_CdGe2CI
_cell_length_a 5.609
_cell_length_b 5.609
_cell_length_c 4.019
_cell_angle_alpha 90.00
_cell_angle_beta 90.00
_cell_angle_gamma 90.00
_space_group_name_H-M_alt 'P 4/m m m'
_space_group_IT_number 123
_space_group_name_Hall '-P 4 2'
loop_
_atom_site_label
_atom_site_type_symbol
_atom_site_fract_x
_atom_site_fract_y
_atom_site_fract_z
Cd1 Cd 0.000 0.000 0.000
Ge1 Ge 0.000 0.500 0.000
C1 C 0.000 0.000 0.500
I1 I 0.500 0.500 0.500
```

Results
- ΔE_f (raw): 1.399 eV/atom
- Volume: 25.28 A^3/atom
- Total DFT energy (no corrections): -0.1024 hartree per atom

Copy entry 2 word for word.
A relaxed structure of Sc2TcIr, computed with PBE-GGA.

```
data_Sc2TcIr
_cell_length_a 3.1071
_cell_length_b 3.1071
_cell_length_c 24.9100
_cell_angle_alpha 90.00
_cell_angle_beta 90.00
_cell_angle_gamma 120.00
_space_group_name_H-M_alt 'R -3 m'
_space_group_IT_number 166
_space_group_name_Hall '-R 3 2"'
loop_
_atom_site_label
_atom_site_type_symbol
_atom_site_fract_x
_atom_site_fract_y
_atom_site_fract_z
Sc1 Sc 0.0000 0.0000 0.2481
Tc1 Tc 0.0000 0.0000 0.5000
Ir1 Ir 0.0000 0.0000 0.0000
```

Results
- DFT formation energy: -0.89 eV per formula unit
- Volume: 17.36 A^3/atom
- Total DFT energy (no corrections): -0.3011 hartree per atom

----------

# YTaFe2 | Alexandria via LeMat-Bulk | PBE-GGA | relaxed
data_YTaFe2
_symmetry_space_group_name_H-M 'P 1'
_symmetry_Int_Tables_number 1
_symmetry_space_group_name_Hall 'P 1'
_cell_length_a 4.5308
_cell_length_b 4.5308
_cell_length_c 4.5308
_cell_angle_alpha 60.00
_cell_angle_beta 60.00
_cell_angle_gamma 60.00
loop_
_atom_site_label
_atom_site_type_symbol
_atom_site_fract_x
_atom_site_fract_y
_atom_site_fract_z
_atom_site_occupancy
Y1 Y 0.0000 0.0000 0.0000 1
Ta1 Ta 0.7500 0.7500 0.7500 1
Fe1 Fe 0.2500 0.2500 0.2500 1
Fe2 Fe 0.5000 0.5000 0.5000 1
# Calculated formation energy in eV/atom: 0.44
# DOS(E_F) in states/eV/atom: 1.102

----------

Record 1
This record from OQMD describes a geometry-optimized BaTb2Al3Si2Pd structure. The functional is PBE.

The structure in CIF format:
```
data_BaTb2Al3Si2Pd
_cell_length_a 4.356
_cell_length_b 7.245
_cell_length_c 7.245
_cell_angle_alpha 121.13
_cell_angle_beta 90.00
_cell_angle_gamma 90.00
_symmetry_space_group_name_H-M 'P 1'
_symmetry_Int_Tables_number 1
loop_
_symmetry_equiv_pos_as_xyz
'x,y,z'
loop_
_atom_site_label
_atom_site_fract_x
_atom_site_fract_y
_atom_site_fract_z
Al1 0.500 0.785 0.785
Pd1 0.000 0.986 0.986
-- stop --

What to do >
Please give back everything above character by character.

Done >
# 1
A relaxed structure of LaGeOs, computed with PBE-GGA.

```
data_LaGeOs
_cell_length_a 4.467
_cell_length_b 4.499
_cell_length_c 6.864
_cell_angle_alpha 90.00
_cell_angle_beta 90.00
_cell_angle_gamma 90.00
_space_group_name_H-M_alt 'P m c 21'
_space_group_IT_number 26
_space_group_name_Hall 'P 2c -2'
loop_
_atom_site_label
_atom_site_type_symbol
_atom_site_fract_x
_atom_site_fract_y
_atom_site_fract_z
La1 La 0.000 0.201 0.000
Ge1 Ge 0.500 0.323 0.649
Os1 Os 0.500 0.174 0.302
```

Results
- DFT formation energy: -1.06 eV per formula unit
- Volume: 23.00 A^3/atom
- Total DFT energy (no corrections): -0.2674 hartree per atom

# 2
A relaxed structure of Sc2TcIr, computed with PBE-GGA.

```
data_Sc2TcIr
_cell_length_a 3.1071
_cell_length_b 3.1071
_cell_length_c 24.9100
_cell_angle_alpha 90.00
_cell_angle_beta 90.00
_cell_angle_gamma 120.00
_space_group_name_H-M_alt 'R -3 m'
_space_group_IT_number 166
_space_group_name_Hall '-R 3 2"'
loop_
_atom_site_label
_atom_site_type_symbol
_atom_site_fract_x
_atom_site_fract_y
_atom_site_fract_z
Sc1 Sc 0.0000 0.0000 0.2481
Tc1 Tc 0.0000 0.0000 0.5000
Ir1 Ir 0.0000 0.0000 0.0000
```

Results
- DFT formation energy: -0.89 eV per formula unit
- Volume: 17.36 A^3/atom
- Total DFT energy (no corrections): -0.3011 hartree per atom

# 3
A relaxed structure of CdGe2CI, computed with PBE-GGA.

```
data_CdGe2CI
_cell_length_a 5.609
_cell_length_b 5.609
_cell_length_c 4.019
_cell_angle_alpha 90.00
_cell_angle_beta 90.00
_cell_angle_gamma 90.00
_space_group_name_H-M_alt 'P 4/m m m'
_space_group_IT_number 123
_space_group_name_Hall '-P 4 2'
loop_
_atom_site_label
_atom_site_type_symbol
_atom_site_fract_x
_atom_site_fract_y
_atom_site_fract_z
Cd1 Cd 0.000 0.000 0.000
Ge1 Ge 0.000 0.500 0.000
C1 C 0.000 0.000 0.500
I1 I 0.500 0.500 0.500
```

Results
- ΔE_f (raw): 1.399 eV/atom
- Volume: 25.28 A^3/atom
- Total DFT energy (no corrections): -0.1024 hartree per atom

Copy entry 2 word for word.
A relaxed structure of Sc2TcIr, computed with PBE-GGA.

```
data_Sc2TcIr
_cell_length_a 3.1071
_cell_length_b 3.1071
_cell_length_c 24.9100
_cell_angle_alpha 90.00
_cell_angle_beta 90.00
_cell_angle_gamma 120.00
_space_group_name_H-M_alt 'R -3 m'
_space_group_IT_number 166
_space_group_name_Hall '-R 3 2"'
loop_
_atom_site_label
_atom_site_type_symbol
_atom_site_fract_x
_atom_site_fract_y
_atom_site_fract_z
Sc1 Sc 0.0000 0.0000 0.2481
Tc1 Tc 0.0000 0.0000 0.5000
Ir1 Ir 0.0000 0.0000 0.0000
```

Results
- DFT formation energy: -0.89 eV per formula unit
- Volume: 17.36 A^3/atom
- Total DFT energy (no corrections): -0.3011 hartree per atom

----------

# YTaFe2 | Alexandria via LeMat-Bulk | PBE-GGA | relaxed
data_YTaFe2
_symmetry_space_group_name_H-M 'P 1'
_symmetry_Int_Tables_number 1
_symmetry_space_group_name_Hall 'P 1'
_cell_length_a 4.5308
_cell_length_b 4.5308
_cell_length_c 4.5308
_cell_angle_alpha 60.00
_cell_angle_beta 60.00
_cell_angle_gamma 60.00
loop_
_atom_site_label
_atom_site_type_symbol
_atom_site_fract_x
_atom_site_fract_y
_atom_site_fract_z
_atom_site_occupancy
Y1 Y 0.0000 0.0000 0.0000 1
Ta1 Ta 0.7500 0.7500 0.7500 1
Fe1 Fe 0.2500 0.2500 0.2500 1
Fe2 Fe 0.5000 0.5000 0.5000 1
# Calculated formation energy in eV/atom: 0.44
# DOS(E_F) in states/eV/atom: 1.102

----------

Record 1
This record from OQMD describes a geometry-optimized BaTb2Al3Si2Pd structure. The functional is PBE.

The structure in CIF format:
```
data_BaTb2Al3Si2Pd
_cell_length_a 4.356
_cell_length_b 7.245
_cell_length_c 7.245
_cell_angle_alpha 121.13
_cell_angle_beta 90.00
_cell_angle_gamma 90.00
_symmetry_space_group_name_H-M 'P 1'
_symmetry_Int_Tables_number 1
loop_
_symmetry_equiv_pos_as_xyz
'x,y,z'
loop_
_atom_site_label
_atom_site_fract_x
_atom_site_fract_y
_atom_site_fract_z
Al1 0.500 0.785 0.785
Pd1 0.000 0.986 0.986